• Request:
Next, retype the calculation results underneath character by character.

• Given:
Starting from a crystal structure in OQMD, relaxed with PBE, the powder diffractogram of Sc3AuO was computed for λ = 1.5418 Å (Cu Kα).
Intensities are scaled so that the largest is 100.

Atomic structure:
```
data_Sc3AuO
_chemical_formula_sum 'Sc6 Au2 O2'
_symmetry_space_group_name_H-M 'P 1'
_symmetry_Int_Tables_number 1
_symmetry_space_group_name_Hall 'P 1'
_cell_length_a 6.218
_cell_length_b 6.218
_cell_length_c 6.141
_cell_angle_alpha 119.59
_cell_angle_beta 119.59
_cell_angle_gamma 59.19
loop_
_atom_site_label
_atom_site_type_symbol
_atom_site_fract_x
_atom_site_fract_y
_atom_site_fract_z
Sc1 Sc 0.201 0.303 0.201
Sc2 Sc 0.245 0.755 0.750
Sc3 Sc 0.303 0.201 0.701
Sc4 Sc 0.697 0.799 0.299
Sc5 Sc 0.755 0.245 0.250
Sc6 Sc 0.799 0.697 0.799
Au1 Au 0.249 0.751 0.250
Au2 Au 0.751 0.249 0.750
O1 O 0.000 0.500 0.500
O2 O 0.500 0.000 0.000
```

The 10 most intense peaks (10° ≤ 2θ ≤ 90°), sorted by position:
| d (Å) | intensity |
| --- | --- |
| 4.451 | 20 |
| 4.343 | 44 |
| 3.108 | 50 |
| 3.071 | 33 |
| 2.527 | 100 |
| 2.225 | 23 |
| 2.171 | 36 |
| 1.780 | 30 |
| 1.554 | 24 |
| 1.312 | 18 |

=====

Starting from a crystal structure in OQMD, relaxed with PBE, the powder diffractogram of CuF2 was computed for λ = 1.5418 Å (Cu Kα).
Intensities are scaled so that the largest is 100.

Atomic structure:
```
data_CuF2
_chemical_formula_sum 'Cu4 F8'
_symmetry_space_group_name_H-M 'P 1'
_symmetry_Int_Tables_number 1
_symmetry_space_group_name_Hall 'P 1'
_cell_length_a 4.557
_cell_length_b 5.519
_cell_length_c 5.108
_cell_angle_alpha 90.00
_cell_angle_beta 90.00
_cell_angle_gamma 90.00
loop_
_atom_site_label
_atom_site_type_symbol
_atom_site_fract_x
_atom_site_fract_y
_atom_site_fract_z
Cu1 Cu 0.000 0.149 0.250
Cu2 Cu 0.000 0.851 0.750
Cu3 Cu 0.500 0.351 0.750
Cu4 Cu 0.500 0.649 0.250
F1 F 0.242 0.112 0.595
F2 F 0.242 0.888 0.095
F3 F 0.258 0.388 0.095
F4 F 0.258 0.612 0.595
F5 F 0.742 0.388 0.405
F6 F 0.742 0.612 0.905
F7 F 0.758 0.112 0.905
F8 F 0.758 0.888 0.405
```

The 10 most intense peaks (10° ≤ 2θ ≤ 90°), sorted by position:
| d (Å) | intensity |
| --- | --- |
| 3.514 | 49 |
| 2.895 | 100 |
| 2.554 | 17 |
| 2.428 | 20 |
| 2.066 | 20 |
| 1.706 | 14 |
| 1.700 | 21 |
| 1.661 | 43 |
| 1.532 | 14 |
| 1.449 | 18 |

=====

Starting from a crystal structure in OQMD, relaxed with PBE, the powder diffractogram of Sm3Si2Cl5O6 was computed for λ = 1.5418 Å (Cu Kα).
Intensities are scaled so that the largest is 100.

Atomic structure:
```
data_Sm3Si2Cl5O6
_chemical_formula_sum 'Sm6 Si4 Cl10 O12'
_symmetry_space_group_name_H-M 'P 1'
_symmetry_Int_Tables_number 1
_symmetry_space_group_name_Hall 'P 1'
_cell_length_a 7.500
_cell_length_b 7.500
_cell_length_c 11.852
_cell_angle_alpha 99.39
_cell_angle_beta 99.39
_cell_angle_gamma 88.99
loop_
_atom_site_label
_atom_site_type_symbol
_atom_site_fract_x
_atom_site_fract_y
_atom_site_fract_z
Sm1 Sm 0.000 0.500 0.500
Sm2 Sm 0.083 0.586 0.833
Sm3 Sm 0.414 0.917 0.167
Sm4 Sm 0.500 0.000 0.500
Sm5 Sm 0.586 0.083 0.833
Sm6 Sm 0.917 0.414 0.167
Si1 Si 0.109 0.818 0.356
Si2 Si 0.182 0.891 0.644
Si3 Si 0.818 0.109 0.356
Si4 Si 0.891 0.182 0.644
Cl1 Cl 0.106 0.682 0.079
Cl2 Cl 0.233 0.233 0.167
Cl3 Cl 0.318 0.894 0.921
Cl4 Cl 0.320 0.320 0.504
Cl5 Cl 0.385 0.385 0.861
Cl6 Cl 0.615 0.615 0.139
Cl7 Cl 0.680 0.680 0.496
Cl8 Cl 0.682 0.106 0.079
Cl9 Cl 0.767 0.767 0.833
Cl10 Cl 0.894 0.318 0.921
O1 O 0.043 0.609 0.327
O2 O 0.047 0.047 0.691
O3 O 0.132 0.696 0.673
O4 O 0.145 0.855 0.500
O5 O 0.304 0.868 0.327
O6 O 0.391 0.957 0.673
O7 O 0.609 0.043 0.327
O8 O 0.696 0.132 0.673
O9 O 0.855 0.145 0.500
O10 O 0.868 0.304 0.327
O11 O 0.953 0.953 0.309
O12 O 0.957 0.391 0.673
```

The 10 most intense peaks (10° ≤ 2θ ≤ 90°), sorted by position:
| d (Å) | intensity |
| --- | --- |
| 5.256 | 100 |
| 5.212 | 53 |
| 3.846 | 39 |
| 3.701 | 42 |
| 3.495 | 35 |
| 2.807 | 38 |
| 2.675 | 25 |
| 2.628 | 29 |
| 2.476 | 29 |
| 2.347 | 34 |

=====

• Solution:
Starting from a crystal structure in OQMD, relaxed with PBE, the powder diffractogram of Sc3AuO was computed for λ = 1.5418 Å (Cu Kα).
Intensities are scaled so that the largest is 100.

Atomic structure:
```
data_Sc3AuO
_chemical_formula_sum 'Sc6 Au2 O2'
_symmetry_space_group_name_H-M 'P 1'
_symmetry_Int_Tables_number 1
_symmetry_space_group_name_Hall 'P 1'
_cell_length_a 6.218
_cell_length_b 6.218
_cell_length_c 6.141
_cell_angle_alpha 119.59
_cell_angle_beta 119.59
_cell_angle_gamma 59.19
loop_
_atom_site_label
_atom_site_type_symbol
_atom_site_fract_x
_atom_site_fract_y
_atom_site_fract_z
Sc1 Sc 0.201 0.303 0.201
Sc2 Sc 0.245 0.755 0.750
Sc3 Sc 0.303 0.201 0.701
Sc4 Sc 0.697 0.799 0.299
Sc5 Sc 0.755 0.245 0.250
Sc6 Sc 0.799 0.697 0.799
Au1 Au 0.249 0.751 0.250
Au2 Au 0.751 0.249 0.750
O1 O 0.000 0.500 0.500
O2 O 0.500 0.000 0.000
```

The 10 most intense peaks (10° ≤ 2θ ≤ 90°), sorted by position:
| d (Å) | intensity |
| --- | --- |
| 4.451 | 20 |
| 4.343 | 44 |
| 3.108 | 50 |
| 3.071 | 33 |
| 2.527 | 100 |
| 2.225 | 23 |
| 2.171 | 36 |
| 1.780 | 30 |
| 1.554 | 24 |
| 1.312 | 18 |

=====

Starting from a crystal structure in OQMD, relaxed with PBE, the powder diffractogram of CuF2 was computed for λ = 1.5418 Å (Cu Kα).
Intensities are scaled so that the largest is 100.

Atomic structure:
```
data_CuF2
_chemical_formula_sum 'Cu4 F8'
_symmetry_space_group_name_H-M 'P 1'
_symmetry_Int_Tables_number 1
_symmetry_space_group_name_Hall 'P 1'
_cell_length_a 4.557
_cell_length_b 5.519
_cell_length_c 5.108
_cell_angle_alpha 90.00
_cell_angle_beta 90.00
_cell_angle_gamma 90.00
loop_
_atom_site_label
_atom_site_type_symbol
_atom_site_fract_x
_atom_site_fract_y
_atom_site_fract_z
Cu1 Cu 0.000 0.149 0.250
Cu2 Cu 0.000 0.851 0.750
Cu3 Cu 0.500 0.351 0.750
Cu4 Cu 0.500 0.649 0.250
F1 F 0.242 0.112 0.595
F2 F 0.242 0.888 0.095
F3 F 0.258 0.388 0.095
F4 F 0.258 0.612 0.595
F5 F 0.742 0.388 0.405
F6 F 0.742 0.612 0.905
F7 F 0.758 0.112 0.905
F8 F 0.758 0.888 0.405
```

The 10 most intense peaks (10° ≤ 2θ ≤ 90°), sorted by position:
| d (Å) | intensity |
| --- | --- |
| 3.514 | 49 |
| 2.895 | 100 |
| 2.554 | 17 |
| 2.428 | 20 |
| 2.066 | 20 |
| 1.706 | 14 |
| 1.700 | 21 |
| 1.661 | 43 |
| 1.532 | 14 |
| 1.449 | 18 |

=====

Starting from a crystal structure in OQMD, relaxed with PBE, the powder diffractogram of Sm3Si2Cl5O6 was computed for λ = 1.5418 Å (Cu Kα).
Intensities are scaled so that the largest is 100.

Atomic structure:
```
data_Sm3Si2Cl5O6
_chemical_formula_sum 'Sm6 Si4 Cl10 O12'
_symmetry_space_group_name_H-M 'P 1'
_symmetry_Int_Tables_number 1
_symmetry_space_group_name_Hall 'P 1'
_cell_length_a 7.500
_cell_length_b 7.500
_cell_length_c 11.852
_cell_angle_alpha 99.39
_cell_angle_beta 99.39
_cell_angle_gamma 88.99
loop_
_atom_site_label
_atom_site_type_symbol
_atom_site_fract_x
_atom_site_fract_y
_atom_site_fract_z
Sm1 Sm 0.000 0.500 0.500
Sm2 Sm 0.083 0.586 0.833
Sm3 Sm 0.414 0.917 0.167
Sm4 Sm 0.500 0.000 0.500
Sm5 Sm 0.586 0.083 0.833
Sm6 Sm 0.917 0.414 0.167
Si1 Si 0.109 0.818 0.356
Si2 Si 0.182 0.891 0.644
Si3 Si 0.818 0.109 0.356
Si4 Si 0.891 0.182 0.644
Cl1 Cl 0.106 0.682 0.079
Cl2 Cl 0.233 0.233 0.167
Cl3 Cl 0.318 0.894 0.921
Cl4 Cl 0.320 0.320 0.504
Cl5 Cl 0.385 0.385 0.861
Cl6 Cl 0.615 0.615 0.139
Cl7 Cl 0.680 0.680 0.496
Cl8 Cl 0.682 0.106 0.079
Cl9 Cl 0.767 0.767 0.833
Cl10 Cl 0.894 0.318 0.921
O1 O 0.043 0.609 0.327
O2 O 0.047 0.047 0.691
O3 O 0.132 0.696 0.673
O4 O 0.145 0.855 0.500
O5 O 0.304 0.868 0.327
O6 O 0.391 0.957 0.673
O7 O 0.609 0.043 0.327
O8 O 0.696 0.132 0.673
O9 O 0.855 0.145 0.500
O10 O 0.868 0.304 0.327
O11 O 0.953 0.953 0.309
O12 O 0.957 0.391 0.673
```

The 10 most intense peaks (10° ≤ 2θ ≤ 90°), sorted by position:
| d (Å) | intensity |
| --- | --- |
| 5.256 | 100 |
| 5.212 | 53 |
| 3.846 | 39 |
| 3.701 | 42 |
| 3.495 | 35 |
| 2.807 | 38 |
| 2.675 | 25 |
| 2.628 | 29 |
| 2.476 | 29 |
| 2.347 | 34 |

=====